Source >
=====
Starting from a cell relaxed with GGA-PBE, the powder diffractogram of LiTaRh2O6 was calculated for a wavelength of 1.5418 Å.
Intensities are scaled so that the largest is 1000.

Peak list (8 most intense, 2θ from 5° to 70°, by angle)
two_theta	I_rel
18.4	436
20.9	953
23.5	517
31.9	912
35.0	1000
39.8	415
52.1	800
62.7	332

Atomic structure:
abc: 5.658 5.658 5.658
angles: 53.92 53.92 53.92
Sites, in units of the cell vectors:
Li1 0.000 0.000 0.000
Ta1 0.488 0.488 0.488
Rh1 0.295 0.295 0.295
Rh2 0.795 0.795 0.795
O1 0.091 0.692 0.389
O2 0.209 0.558 0.884
O3 0.389 0.091 0.692
O4 0.558 0.884 0.209
O5 0.692 0.389 0.091
O6 0.884 0.209 0.558

=====

# Dy2Y7Pu
Calculated X-ray powder pattern, Cu Ka. Input: a PBE-relaxed structure.
Peak positions follow from Bragg's law for the DFT cell and can differ from measured ones.

Most intense lines, 2θ = 10–90°, low angle first:
d 3.071, 2θ 29.1, rel. 35, (2 0 0)
d 2.874, 2θ 31.1, rel. 100, (0 0 5)
d 2.768, 2θ 32.3, rel. 50, (2 0 -3)
d 2.755, 2θ 32.5, rel. 100, (1 1 2)
d 2.688, 2θ 33.3, rel. 50, (2 0 2)
d 2.673, 2θ 33.5, rel. 96, (1 1 -3)
d 1.786, 2θ 51.1, rel. 49, (3 1 -1)
d 1.517, 2θ 61.1, rel. 61, (3 1 -6)

Crystal structure
Cell lengths 6.2000, 3.5488, 14.5150 Å; angles 90.00, 98.13, 90.00 degrees
Space group P2/m (No. 10)
Asymmetric unit:
Dy  0.1316  0.0000  0.3982 x2
Y  0.1006  0.5000  0.8034 x2
Y  0.3664  0.5000  0.6008 x2
Y  0.3955  0.0000  0.1989 x2
Y  0.5000  0.5000  0.0000 x1
Pu  0.0000  0.0000  0.0000 x1

# TlInTcW2
Calculated X-ray powder pattern, Cu Ka. Input: a PBE-relaxed structure.
Peak positions follow from Bragg's law for the DFT cell and can differ from measured ones.

Most intense lines, 2θ = 10–90°, low angle first:
d 3.427, 2θ 26.0, rel. 62, (0 0 2)
d 3.048, 2θ 29.3, rel. 100, (1 1 1)
d 2.406, 2θ 37.4, rel. 48, (2 0 0)
d 1.969, 2θ 46.1, rel. 53, (2 0 2)
d 1.897, 2θ 48.0, rel. 26, (1 1 3)
d 1.524, 2θ 60.8, rel. 23, (2 2 2)
d 1.486, 2θ 62.5, rel. 24, (3 1 1)
d 1.396, 2θ 67.1, rel. 17, (2 0 4)

Crystal structure
Cell lengths 4.8123, 4.8123, 6.8537 Å; angles 90.00, 90.00, 90.00 degrees
Space group P4/mmm (No. 123)
Asymmetric unit:
Tl  0.0000  0.0000  0.0000 x1
In  0.5000  0.5000  0.0000 x1
Tc  0.0000  0.0000  0.5000 x1
W  0.0000  0.5000  0.5000 x2

# La2Th3Ge4
Calculated X-ray powder pattern, Cu Ka. Input: a PBE-relaxed structure.
Peak positions follow from Bragg's law for the DFT cell and can differ from measured ones.

Most intense lines, 2θ = 10–90°, low angle first:
d 3.583, 2θ 24.8, rel. 42, (1 1 -2)
d 3.011, 2θ 29.7, rel. 28, (1 2 1)
d 2.893, 2θ 30.9, rel. 100, (2 2 -1)
d 2.850, 2θ 31.4, rel. 44, (1 2 -2)
d 2.781, 2θ 32.2, rel. 50, (2 2 0)
d 2.723, 2θ 32.9, rel. 64, (1 1 2)
d 2.537, 2θ 35.4, rel. 28, (3 0 0)
d 2.526, 2θ 35.5, rel. 89, (1 1 -3)

Crystal structure
Cell lengths 8.2982, 8.1492, 8.0072 Å; angles 90.00, 113.47, 90.00 degrees
Space group P2_1/c (No. 14)
Asymmetric unit:
La  0.2059  0.1758  0.0603 x4
Th  0.2330  0.6640  0.2176 x4
Th  0.5000  0.0000  0.5000 x2
Ge  0.0924  0.5309  0.8217 x4
Ge  0.4983  0.1269  0.8751 x4

# Cs4CdAu3
Calculated X-ray powder pattern, Cu Ka. Input: a PBE-relaxed structure.
Peak positions follow from Bragg's law for the DFT cell and can differ from measured ones.

Most intense lines, 2θ = 10–90°, low angle first:
d 6.677, 2θ 13.3, rel. 41, (0 0 2)
d 3.518, 2θ 25.3, rel. 100, (1 1 1)
d 3.393, 2θ 26.3, rel. 63, (0 1 3)
d 2.821, 2θ 31.7, rel. 94, (1 1 3)
d 2.789, 2θ 32.1, rel. 51, (1 0 4)
d 2.620, 2θ 34.2, rel. 39, (0 2 0)
d 2.538, 2θ 35.4, rel. 36, (2 0 0)
d 1.910, 2θ 47.6, rel. 35, (1 2 4)

Crystal structure
Cell lengths 5.0766, 5.2407, 13.3535 Å; angles 90.00, 90.00, 90.00 degrees
Space group Pmm2 (No. 25)
Asymmetric unit:
Cs  0.0000  0.0000  0.0000 x1
Cs  0.0000  0.5000  0.4694 x1
Cs  0.5000  0.0000  0.6916 x1
Cs  0.5000  0.5000  0.2077 x1
Cd  0.0000  0.5000  0.7929 x1
Au  0.0000  0.0000  0.2781 x1
Au  0.5000  0.0000  0.4032 x1
Au  0.5000  0.5000  0.8979 x1

# EuDy3
=====

Job >
The reader should work out how many lines further above have the word "angles" in them; a number is enough.

Solution >
5